
UPDATE: 5th International Scientific Conference “Chemical Technology and Engineering

New registration deadline!

Dear Colleagues,

The Organizing Committee is inviting You to participate in 5th International Scientific Conference “Chemical Technology and Engineering – 2025” which will take place on June 23-26, 2025 at Lviv Polytechnic National University (Lviv, Ukraine) in a hybrid format due to the armed russian aggression in Ukraine. More information is available in full text.  

Tutoring for international students available!

Dear Candidates,

If you're thinking about starting a second degree programme at WIChiP, but are going to join us from another department, or another university, here's something for you! We offer specialised tutoring for students who join us from outside of WIChiP. You will have the opportunity to fill in missing knowledge, giving you the confidence to pursue our second degree programme.

Aleksandra Pisarek takes 2nd place in the 3MT® competition

We are very proud to say that Aleksandra Pisarek, M.Sc. has made it to the podium of the 3MT® competition! She demonstrated that scientific research can be presented in an engaging, understandable, and inspiring way, earning her second place with a presentation on the power of air. The 3MT® competition took place as part of the "Initiative of Excellence - Research University" project at the Warsaw University of Technology.

Young scientists awarded in PRELUDIUM 23 competition

We are proud to announce that two PhD students from our Faculty, Monika Jałowiecka, M.Sc., and Daniel Wyleziński, M.Sc., have been recognized in the competition for research projects for individuals without a doctoral degree, PRELUDIUM 23, organized by the National Science Centre.

Success of Dr. Łukasz Werner in the MINIATURA 8 competition

We are very proud to announce that Dr. Łukasz Werner has received funding for his research as part of the MINIATURA 8 competition announced by the National Science Centre of Poland. The grant of 49 940 PLN will be allocated to the project titled "Investigation of the Influence of Plasticizer Additives on the Mechanical and Photocatalytic Properties of Zinc Oxide (ZnO) Coating on Polymer Nonwovens". 

In the eighth edition of the competition, 1,752 applications were submitted, of which  723 have been approved for implementation. The awardees will receive a total funding amounting to nearly 28.78 million PLN.

Congratulations to Dr. Werner and we wish him further success in his scientific endeavors!

Increase of the Department's position in the EngiRank 2024 Engineering Studies Ranking

On October 29, 2024, the EngiRank 2024 Engineering Studies Ranking was published. We are proud to announce that the engineering studies in the discipline of "Chemical Engineering" at warsaw University for Technology were ranked 49th out of 170 evaluated universities. This is an increase of 28 positions compared to last year! The entire university ranks 64th, which is an improvement of 5 positions.

The whole ranking is available in here

Professor Andrzej Krasiński awarded with KEN Medal

November 15 is Warsaw University of Technology Day. During the celebration of this event, a number of awards were presented at a formal meeting of the Senate of Warsaw University of Technology. One of the awardees was dr hab. inż. Andrzej Krasinski, professor at the university, who was awarded the Medal of the National Education Commission. We sincerely congratulate him on this award!

You can read more about the Warsaw University of Technology's Day celebrations here.

Professor Ewa Dłuska was handed the professor nomination act

We are extremely happy to inform, that prof. dr hab. inż. Ewa Dłuska has received the professor nomination act from President of Republic of Poland, Andrzej Duda. She officially started being the professor of engineering-technical sciences in chemical engineering discipline. The date of nomination was 29.05.2023.

Congratulations to Professor Dłuska, we wish her next great successes in future!

Inserted here: molecular data >
........
one.
C2H5NO2 | wB97M-V/def2-TZVPD

```
10
Properties=species:S:1:pos:R:3:nbo_charge:R:1
C 1.3840 -0.2061 -0.0191 -0.7056
C 0.0068 0.3991 -0.0620 0.6310
H 1.8740 0.0997 0.9078 0.2430
H 1.9645 0.1985 -0.8550 0.2478
H 1.3688 -1.2958 -0.0810 0.2166
H -0.9717 -1.3901 0.2738 0.3822
H -2.0888 1.0168 0.0632 0.4896
N -1.0280 -0.4843 -0.1760 -0.3217
O -0.2158 1.6011 -0.0482 -0.6316
O -2.2938 0.0612 -0.0034 -0.5513
```

two.
C2H5NO2 | wB97M-V/def2-TZVPD

```
10
Properties=species:S:1:pos:R:3:nbo_charge:R:1
N 2.0552 -0.0481 0.0381 -0.8093
C 0.8969 0.1025 -0.5963 0.2835
O -0.0384 -0.4948 0.1806 -0.5665
C -1.3659 -0.2332 -0.2409 0.2323
O -1.7703 1.0367 0.1557 -0.7073
H 2.1547 -0.5563 0.9145 0.3795
H 2.8943 0.3122 -0.3837 0.3988
H -1.4247 -0.2609 -1.3298 0.1726
H -1.9728 -1.0337 0.2081 0.1454
H -1.4291 1.1755 1.0537 0.4709
```

three.
C2H5NO2 | wB97M-V/def2-TZVPD

```
10
Properties=species:S:1:pos:R:3:nbo_charge:R:1
C 0.4371 -0.5437 0.1589 -0.3687
C -0.7932 0.3047 0.0018 0.7942
H 1.5190 1.1520 0.5186 0.3568
H 2.3611 -0.2461 -0.3640 0.3493
H 0.0958 -1.3932 -0.4111 0.2186
H 0.4631 -0.9637 1.2742 0.2018
H -2.6771 0.3436 -0.4410 0.4911
N 1.3585 0.3357 -0.4959 -0.7607
O -0.8084 1.4453 0.0131 -0.5646
O -1.9559 -0.4346 -0.2548 -0.7177
```

four.
C2H5NO2 | wB97M-V/def2-TZVPD

```
10
Properties=species:S:1:pos:R:3:nbo_charge:R:1
C 1.4033 -0.0410 0.0486 0.8028
C -0.2826 -0.8249 -0.1609 -0.3052
N -1.1801 0.3655 0.0488 -0.8784
O 2.3198 -0.7819 0.1507 -0.5681
O 1.4660 1.2931 -0.1181 -0.7126
H -0.4157 -1.6035 0.6239 0.2034
H -0.3627 -1.0168 -1.1697 0.2018
H -1.3520 0.5374 1.0259 0.3564
H -2.1627 0.2093 -0.3066 0.3636
H 0.5667 1.8629 -0.1427 0.5364
```

one (7.9 kJ/mol below the next structure)

=====

Entry 1:
Here is a gas-phase ion, C5H11N2 (charge +1) from OMol25. Energies are from ωB97M-V/def2-TZVPD.

* net charge: +1
* frontier orbital gap: 11.236 eV
* HOMO: -14.29 eV
* structure (SMILES): [NH2+]=CCCN1CC1
* relative energy (zero: lowest compared OMol25 entry of this formula, charge and spin): 3.068 eV

Last column: Löwdin charge in e.
CARTESIAN COORDINATES (ANGSTROEM)
C  1.77  0.01  1.24  -0.052
C  -0.96  -0.87  -1.21  -0.053
C  0.49  0.67  1.59  -0.066
C  -0.24  -1.33  0.19  -0.077
C  -0.19  0.42  -1.40  -0.129
N  -0.91  1.47  -1.16  0.179
N  0.60  -0.10  0.34  -0.143
H  2.54  0.59  0.96  0.072
H  2.15  -0.94  1.80  0.166
H  -1.04  -1.61  -1.94  0.103
H  -1.98  -0.67  -0.99  0.099
H  -0.22  0.23  2.31  0.135
H  0.58  1.71  1.29  0.117
H  -1.02  -1.49  0.94  0.119
H  0.14  -2.29  -0.05  0.111
H  -0.60  2.34  -1.29  0.086
H  -1.76  1.19  -0.59  0.180
H  0.63  0.69  -2.03  0.153

***

Entry 2:
Here is a gas-phase ion, C5H11N2 (charge +1) from OMol25. Energies are from ωB97M-V/def2-TZVPD.

* net charge: +1
* frontier orbital gap: 8.638 eV
* HOMO: -13.47 eV
* structure (SMILES): C=NCC[N+](=C)C
* relative energy (zero: lowest compared OMol25 entry of this formula, charge and spin): 1.650 eV

Last column: Löwdin charge in e.
CARTESIAN COORDINATES (ANGSTROEM)
........
Back to the page >

Workshops „Water4All 360° Water Experience” by Wetsus

We would like to inform you about the opening of the next edition of the workshop organized by the research institute Wetsus (the Netherlands). First degree graduates are encouraged to apply. The workshop runs from March 17 to 21, 2025 in Leeuwarden (the Netherlands). Eligibility for the program guarantees coverage of travel expenses, accommodation and all workshop activities.

The application deadline is November 18. More information tutaj (.pdf) . For questions, Wetsus encourages you to contact

Registration for 13th EYEC

We are very pleased to announce that the registration for participation in the next, already 13th, edition of the European Young Engineers Conference organized by the “Venturi” Scientific Circle of Chemical and Process Engineering will open on September 9. The conference will be held from April 7-9, 2025, and registration for participation will be possible until November 4, 2024.

More information about the conference and key dates are available on the conference website ( and in the flyer posted here (.pdf) . You are cordially invited to participate!

Dean and Vice-Deans nominated by Rector

The new term of the Faculty Authorities begins! On September 2, 2024, the Dean and the Vice-Deans received the appointments to their positions from the hands of the WUT Rector, Prof. Krzysztof Zaremba. The 2024-2028 term consists of:
- Prof. Marek Henczka, Dean
- Prof. Maciej Pilarek, Vice-Dean for Student Affairs
- Prof. Tomasz Sosnowski, Vice-Dean for Science and Development
- Dr. Jan Krzysztoforski, Vice-Dean for Studies
- Dr. Michal Wojasinski, Vice-Dean for General Affairs

Open Lectures by Honorary Speakers at UCRA

Ladies and Gentlemen, PhD Students and Students, we invite you to participate in the open and free-of-charge lectures at the beginning of the 3rd International Conference on Unconventional Catalysis, Reactors and Applications (UCRA):

Prof. Frances Arnold, Marie Curie Lecture “Innovation by Evolution: Bringing New Chemistry to Life” September 17 at 5:00 pm - registration

Prof. Jeffrey Hoffman, “Mars, MOXIE, and the Future of Human Space Flight” September 18 at 9:00 am - registration

Aleksandra Pisarek honored for her poster presentation at the 12th IMMS

┌──
[1]
The following is a quantum chemistry calculation of C12H51BN3O10Y as an isolated structure in a non-equilibrium geometry, from the OMol25 dataset.

Its total charge is +2. As for the HOMO energy: -13.0005 eV.

Last column: Mulliken charge in e.
Positions of all 78 atoms, in Å:
Y1 2.165 3.159 -23.046  1.139
B1 1.187 5.383 -22.152  1.394
H1 2.154 5.499 -22.783  0.039
H2 0.592 4.463 -22.492  0.326
H3 1.485 5.223 -21.031  -0.435
H4 0.536 6.349 -22.228  -0.785
C1 3.637 5.812 -16.838  -1.584
C2 2.920 5.270 -18.063  1.027
C3 1.432 5.047 -17.754  -0.274
O1 1.240 4.213 -16.634  -0.438
C4 1.417 2.847 -16.868  -0.559
N1 3.120 6.228 -19.163  -0.550
H5 3.605 5.062 -16.044  0.348
H6 3.169 6.708 -16.429  0.349
H7 4.686 6.015 -17.049  0.418
H8 3.375 4.315 -18.350  -0.022
H9 0.925 4.590 -18.620  0.024
H10 0.940 5.997 -17.550  0.330
H11 1.368 2.289 -15.939  0.320
H12 2.397 2.631 -17.323  0.220
H13 0.664 2.494 -17.593  0.179
H14 2.533 7.056 -19.092  0.341
H15 2.797 5.794 -20.022  -0.363
C5 -2.266 8.237 -20.373  -1.168
C6 -2.353 6.786 -19.879  0.391
C7 -3.470 6.062 -20.632  -0.791
O2 -4.731 6.641 -20.570  -0.406
C8 -5.243 6.834 -19.262  -0.673
N2 -1.071 6.106 -20.050  -0.318
H16 -2.246 8.296 -21.468  0.063
H17 -1.346 8.748 -20.077  0.427
H18 -3.112 8.827 -20.019  0.449
H19 -2.572 6.838 -18.810  0.403
H20 -3.505 5.028 -20.246  0.437
H21 -3.168 6.002 -21.683  0.267
H22 -6.307 7.041 -19.361  0.275
H23 -4.834 7.757 -18.834  0.239
H24 -5.039 5.968 -18.630  0.314
H25 -0.357 6.764 -19.741  0.161
H26 -0.752 5.937 -20.992  0.071
C9 -0.576 11.227 -23.224  -1.515
C10 -0.401 9.750 -23.530  1.509
C11 -0.560 9.505 -25.015  -1.133
O3 -0.314 8.138 -25.358  -0.319
C12 -0.083 7.992 -26.747  -0.941
N3 0.938 9.377 -23.050  -0.568
H27 -1.595 11.612 -23.289  0.394
H28 0.056 11.821 -23.889  0.371
H29 -0.298 11.482 -22.201  0.324
H30 -1.136 9.143 -22.994  -0.570
H31 0.205 10.137 -25.491  0.445
H32 -1.531 9.816 -25.409  0.488
H33 -0.857 8.517 -27.315  0.364
H34 -0.136 6.939 -27.025  0.299
H35 0.874 8.436 -27.042  0.329
H36 1.647 9.709 -23.700  0.267
H37 1.068 8.372 -23.051  -0.066
O4 3.627 3.830 -21.187  -0.453
H38 4.381 4.421 -21.028  0.309
H39 3.801 3.074 -20.607  0.270
O5 0.098 2.089 -23.584  -0.448
H40 -0.704 1.768 -23.146  0.298
H41 0.060 1.712 -24.477  0.310
O6 1.209 4.519 -24.923  -0.378
H42 0.317 4.940 -24.759  0.352
H43 1.499 4.830 -25.789  0.267
O7 1.086 2.485 -20.956  -0.483
H44 1.399 1.876 -20.272  0.318
H45 0.385 3.009 -20.528  0.236
O8 0.382 9.503 -20.125  -0.677
H46 0.767 10.289 -19.723  0.290
H47 0.708 9.508 -21.044  0.334
O9 4.008 4.214 -23.932  -0.477
H48 4.575 4.984 -23.778  0.307
H49 4.266 3.895 -24.813  0.320
O10 -1.279 5.677 -24.139  -0.836
H50 -1.080 6.554 -24.531  0.533
H51 -1.068 5.758 -23.204  0.344

***

[2]
The following is a quantum chemistry calculation of a 2-piece molecular cluster, C4H9O2 overall, from the OMol25 dataset.
└──
**The piece goes on:**

We are very pleased to announce that Aleksandra Pisarek, M.Sc., received an award for her poster presentation at the conference "12th International Mesostructured Materials Symposium (IMMS)” held on June 8-12, 2024, in Montpellier, France. The poster presentation was entitled “The influence of the SOL-GEL synthesis composting and the double-crosslinking on the structural properties of VTMS aerogels.” The co-authors of the presentation were Bartosz Nowak, Ryszard Jobda, and Jakub M. Gac.

WIChiP researchers at ChemE-Med 2024 conference

The ChemE-Med 2024 Chemical Engineering as Applied to Medicine conference was held in Salerno, Italy, on May 20, 2024. The event's main goal was to provide a forum for discussions on applying basic scientific knowledge from the chemical and process engineering discipline to solve various problems and issues in physiology, medical diagnosis, therapy, health care, toxicology, and others. The conference was co-organized by Prof. Tomasz Sosnowski, and Dr. Krzysztof Wojtas participated in the event.

Our students in the Early Career section of European Federation of Chemical Engineering

We are very proud to announce that three of our students are members of the Early Career Chemical Engineers section of the European Federation of Chemical Engineering. This section aims to inspire, inform, upskill young members of the chemical engineering community and support them in their career development in this discipline. Grzegorz Bernacki, Nikodem Dąbrowski and Monika Klimek represent our Faculty, Warsaw University of Technology and Poland. We sincerely congratulate them and wish them further professional success!

12th EYEC open plenary talks

We want to inform you that on April 15-17, 2024, the European Young Engineers Conference will be held at WIChiP for the twelfth time. This year, anyone interested in the topics of plenary lectures can freely participate. All lectures will be held in Auditorium A2. Details can be found in the extension of the message. 

"A Role for Chemical Engineers in Systems Approaches to Physiology and Clinical Medicine" - seminar

We are pleased to announce that on March 12, 2024, at 9:15 am, prof. David Bogle (University College London) will give a seminar entitled: "A Role for Chemical Engineers in Systems Approaches to Physiology and Clinical Medicine". Professor Bogle is an experienced scientist and educator in the field of process design and control, as well as in the field of systems biology. Since 2005, Professor Bogle has been a Pro-Vice-Provost of the Doctoral School at University College London. We are counting on your arrival and an interesting discussion after the seminar.

More information about Prof. Bogle [link] and a summary of the seminar topic [link].

Seminar series "Chemical Engineering Horizons in Different Perspectives"

We invite you to seminars from the "Chemical Engineering Horizons in Different Perspectives" series. During the seminars, representatives of companies and universities will talk about their experiences and thoughts on the future and horizons of chemical engineering. The events will be held in person in the Faculty of Chemical and Process Engineering Building, Waryńskiego 1, in Auditorium III on Wednesdays from 3:00 p.m., starting from February 28 and ending on March 20. Admission after registration; meetings will be conducted in English.

Studies at University of Fukui, Japan

Dear Students,

We would like to inform you about the opportunity to pursue a second degree or doctoral program at the University of Fukui in Japan. The university provides a wide range of international studies in English. Recruitment documents must reach the university between April 1 - 23, 2024 (October 2024 recruitment) or September 26 - October 17, 2024 (April 2025 recruitment). More information can be found on the university's website and under "Read More" below.

Offer of studies at King Fahd University of Petroleum & Minerals in Saudi Arabia

Dear Students,
We would like to inform you about the opportunity to pursue a second degree or doctoral program in chemical engineering at King Fahd University of Petroleum & Minerals in Saudi Arabia. The university offers a full travel scholarship, including free accommodation and health care, among other benefits. More details can be found on the University's website and in the graphic attached to this news.

ATTENTION: The deadline to apply for studies starting in the fall of 2024 is 17.12.2023!

Admission to Master's Programme 'Green Technologies in Chemical Engineering' is open!

Dear candidates, we are happy to inform you that admission for Master's degree studies starting in Feb. 2024 is open now! This includes our brand new programme 'Green Technologies in Chemical Engineering.' The deadline for the application for non-Polish Candidates is December 13, 2023. The Master's degree studies at Our Faculty are accredited by European Network for Accreditation of Engineering Education (ENAEE) and therefore the degree obtained is perfectly viable in all of Europe.

"Campus Internship - Digital Innovation" at DOW Chemical Company

We would like to inform you about internship opportunities at DOW Chemical Company through Digital Internship in Terneuzen, the Netherlands. Internships take place in one of DOW's key departments: Research and Development, Integrated Supply Chain, Operations (M&E), or Information Systems.

Internships are paid, the company offers housing, a 6-month contract, and reimbursement of travel expenses.

More information at the link here.

Our scientists' articles published in journals with the highest impact factor

We are pleased to inform you about the publications of our employees that were published this year in prestigious scientific journals with an impact factor (IF) above 10. Congratulations to all the authors of the mentioned papers.

The academic year 2023/2024 at WIChiP ceremonially started

On Monday, October 2, 2023, the inauguration ceremony of the 2023/2024 academic year occurred at our Faculty. Guests gathered in the AII Auditorium: representatives of the University authorities and Warsaw University of Technology faculties, as well as employees and students of the Faculty.

Maciej Szwast, Ph.D., with a grant in the EUREKA initiative

The team led by Maciej Szwast, Ph.D. D.Sc., in consortium with Polymemtech sp. z o.o., has received research funding of PLN 1,500,000.00 in the EUREKA 2022 competition. The funded project involves "Development of a novel multifunctional filtration technology based on artificial intelligence." Details of the competition and results can be found on the NCRD website. Congratulations and we look forward to the first results of the research and development work!